Wanted.
Please write out the lines below up to the one that holds "1.049 0.530", that line included.

Data.
~~~
i) A cluster of 2 separate species, C2H8N3P in total, computed with the ωB97M-V functional and the def2-TZVPD basis.

As for the HOMO-LUMO gap: 0.2478 Ha. The value obtained for the HOMO energy is -6.4 eV.

```
14
Properties=species:S:1:pos:R:3:lowdin_charge:R:1
C -2.435 1.030 -0.243 -0.10
C -1.231 0.489 0.507 -0.24
N 1.083 0.271 -0.026 -0.03
N 3.517 -1.678 0.249 -0.45
N -0.076 0.331 -0.394 -0.25
P 2.328 -1.947 -0.841 0.50
H -2.740 0.332 -1.020 0.07
H -3.267 1.162 0.442 0.07
H -2.209 1.994 -0.695 0.07
H -0.923 1.155 1.316 0.11
H -1.464 -0.490 0.940 0.11
H 3.301 -1.333 1.170 0.00
H 4.482 -1.537 -0.021 0.00
H -0.366 0.222 -1.386 0.13
```

***

ii) An isolated molecule of C2H8N3P, computed with the ωB97M-V functional and the def2-TZVPD basis.

As for the SMILES: [H]/N=P/NNCC. As for the HOMO-LUMO gap: 0.3517 Ha. The value obtained for the HOMO energy is -9.1 eV.

```
14
Properties=species:S:1:pos:R:3:lowdin_charge:R:1
C 2.340 -0.389 -0.146 -0.11
C 0.917 -0.064 0.403 -0.29
N -3.492 0.169 0.590 -0.33
N 0.071 0.613 -0.645 -0.14
N -1.285 0.692 -0.279 -0.36
P -2.324 -0.586 -0.182 0.75
H 3.054 -0.867 0.375 0.01
H 2.136 -0.917 -1.048 0.04
H 2.908 0.630 -0.449 0.12
H 0.403 -1.075 0.761 0.10
H 1.049 0.530 1.381 0.12
H -4.335 -0.389 0.571 -0.08
H 0.028 0.107 -1.539 0.09
H -1.468 1.545 0.206 0.07
```

***

Which of them is most stable? Easy: ii).

***

i) A cluster of 2 separate species, C3H8N2 in total, computed with the ωB97M-V functional and the def2-TZVPD basis.

As for the SMILES: C=CN.C=N. As for the HOMO-LUMO gap: 0.3428 Ha. The value obtained for the HOMO energy is -8.2 eV.

```
13
Properties=species:S:1:pos:R:3:lowdin_charge:R:1
C 2.834 2.641 -0.405 -0.15
N 2.344 1.467 -0.348 0.01
H 3.611 3.029 0.251 0.06
H 2.610 3.208 -1.307 0.05
H 2.722 1.069 0.518 0.03
C -2.543 -1.086 1.176 -0.04
C -1.685 -1.002 0.139 -0.33
N -1.032 -2.020 -0.528 0.03
H -3.143 -1.966 1.342 0.04
H -2.602 -0.160 1.721 0.03
H -1.394 0.017 -0.107 0.09
H -1.422 -2.918 -0.260 0.08
H -0.944 -2.007 -1.544 0.09
```

***

ii) An isolated molecule of C3H8N2, computed with the ωB97M-V functional and the def2-TZVPD basis.

As for the SMILES: NC[C@@H]1CN1. As for the HOMO-LUMO gap: 0.3918 Ha. The value obtained for the HOMO energy is -9.5 eV.

```
13
Properties=species:S:1:pos:R:3:lowdin_charge:R:1
C -0.833 -0.549 -0.279 -0.32
C 0.410 -0.129 0.403 -0.36
C 1.336 0.820 -0.232 -0.16
H -2.699 0.046 -0.480 0.07
H -2.129 0.322 0.993 0.09
H -1.070 -1.651 -0.076 0.13
H -0.617 -0.530 -1.346 0.11
H 0.406 -0.095 1.483 0.13
H 1.148 1.233 -1.227 0.10
H 1.840 1.520 0.456 0.11
H 2.392 -0.789 0.523 0.09
N -1.862 0.415 -0.020 -0.01
N 1.678 -0.613 -0.198 0.01
```

***

iii) A structure of composition C3H8N2, computed with the ωB97M-V functional and the def2-TZVPD basis.

As for the HOMO-LUMO gap: 0.3376 Ha. The value obtained for the HOMO energy is -8.0 eV.

```
13
Properties=species:S:1:pos:R:3:lowdin_charge:R:1
C 0.360 0.078 0.457 -0.48
C -1.516 -0.834 -0.117 -0.07
C 1.327 1.028 -0.227 -0.07
N 0.281 -1.212 -0.204 0.02
N -1.038 0.441 0.141 -0.07
H 0.389 -1.971 0.465 0.05
H -1.175 1.116 -0.602 0.11
H 0.533 0.027 1.541 0.13
H -2.202 -0.945 -0.957 0.10
H -1.701 -1.504 0.712 0.08
H 2.351 0.703 -0.024 0.07
H 1.184 1.016 -1.311 0.08
H 1.206 2.058 0.126 0.07
```

***

Which of them is most stable? Easy: ii).

***

i) An isolated molecule of C3H6N2, computed with the ωB97M-V functional and the def2-TZVPD basis.

As for the SMILES: C=NN1CC1. As for the HOMO-LUMO gap: 0.3713 Ha. The value obtained for the HOMO energy is -9.0 eV.

```
11
Properties=species:S:1:pos:R:3:lowdin_charge:R:1
C -2.024 -0.042 -0.118 -0.01
C 1.222 0.820 0.019 -0.13
C 1.332 -0.695 0.032 -0.20
H -3.143 0.163 0.296 0.11
H -1.883 -0.027 -1.249 0.07
H 1.052 1.139 1.137 0.14
H 1.636 1.221 -0.815 0.06
H 1.262 -0.932 1.194 0.13
H 2.145 -1.247 -0.552 0.12
N -0.824 -0.046 0.483 -0.05
N 0.217 -0.070 -0.427 -0.25
```

***

ii) An isolated molecule of C3H6N2, computed with the ωB97M-V functional and the def2-TZVPD basis.
~~~

Reply.
i) A cluster of 2 separate species, C2H8N3P in total, computed with the ωB97M-V functional and the def2-TZVPD basis.

As for the HOMO-LUMO gap: 0.2478 Ha. The value obtained for the HOMO energy is -6.4 eV.

```
14
Properties=species:S:1:pos:R:3:lowdin_charge:R:1
C -2.435 1.030 -0.243 -0.10
C -1.231 0.489 0.507 -0.24
N 1.083 0.271 -0.026 -0.03
N 3.517 -1.678 0.249 -0.45
N -0.076 0.331 -0.394 -0.25
P 2.328 -1.947 -0.841 0.50
H -2.740 0.332 -1.020 0.07
H -3.267 1.162 0.442 0.07
H -2.209 1.994 -0.695 0.07
H -0.923 1.155 1.316 0.11
H -1.464 -0.490 0.940 0.11
H 3.301 -1.333 1.170 0.00
H 4.482 -1.537 -0.021 0.00
H -0.366 0.222 -1.386 0.13
```

***

ii) An isolated molecule of C2H8N3P, computed with the ωB97M-V functional and the def2-TZVPD basis.

As for the SMILES: [H]/N=P/NNCC. As for the HOMO-LUMO gap: 0.3517 Ha. The value obtained for the HOMO energy is -9.1 eV.

```
14
Properties=species:S:1:pos:R:3:lowdin_charge:R:1
C 2.340 -0.389 -0.146 -0.11
C 0.917 -0.064 0.403 -0.29
N -3.492 0.169 0.590 -0.33
N 0.071 0.613 -0.645 -0.14
N -1.285 0.692 -0.279 -0.36
P -2.324 -0.586 -0.182 0.75
H 3.054 -0.867 0.375 0.01
H 2.136 -0.917 -1.048 0.04
H 2.908 0.630 -0.449 0.12
H 0.403 -1.075 0.761 0.10
H 1.049 0.530 1.381 0.12